### Input
-- begin --
Arrangement A

Here is a geometry-optimized Pr6InHg2 structure from the Alexandria database. Energies are from PBE.

## Properties
Fermi-level density of states = 12.28 states/eV/f.u.
space-group type = Fmmm
V = 31.785 Å³ per atom

Lattice parameters (Å, degrees): 10.417 8.524 7.096 83.11 54.33 42.56
Fractional coordinates of all 9 atoms:
Pr  0.018  0.319  0.681
Pr  0.319  0.018  0.982
Pr  0.344  0.656  0.344
Pr  0.656  0.344  0.656
Pr  0.681  0.982  0.018
Pr  0.982  0.681  0.319
In  0.000  0.000  0.000
Hg  0.338  0.338  0.662
Hg  0.662  0.662  0.338

Arrangement B

Here is a geometry-optimized Pr6InHg2 structure from the Alexandria database. Energies are from PBE.

## Properties
Fermi-level density of states = 12.28 states/eV/f.u.
space-group type = Immm
V = 32.548 Å³ per atom

Lattice parameters (Å, degrees): 9.132 9.132 9.132 110.46 109.93 108.04
Fractional coordinates of all 18 atoms:
Pr  0.050  0.824  0.225
Pr  0.250  0.551  0.301
Pr  0.250  0.949  0.699
Pr  0.271  0.319  0.590
Pr  0.271  0.681  0.952
Pr  0.401  0.176  0.225
Pr  0.599  0.824  0.775
Pr  0.729  0.319  0.048
Pr  0.729  0.681  0.410
Pr  0.750  0.051  0.301
Pr  0.750  0.449  0.699
Pr  0.950  0.176  0.775
In  0.000  0.500  0.500
In  0.500  0.000  0.500
Hg  0.000  0.146  0.146
Hg  0.000  0.854  0.854
Hg  0.364  0.364  0.000
Hg  0.636  0.636  0.000

It is arrangement B that is the least stable of them.
-- stop --
### Job
Could you echo every line earlier on that contains the word "eV"?
### Written answer
Fermi-level density of states = 12.28 states/eV/f.u.
Fermi-level density of states = 12.28 states/eV/f.u.